• Given:
<<<
Record 1
# C5H7NO

A structure of composition C5H7NO (ωB97M-V/def2-TZVPD, the OMol25 dataset).

Structure (ORCA input):
```
! wB97M-V def2-TZVPD RIJCOSX def2/J DEFGRID3
* xyz 0 1
O 2.01335 -0.74140 -0.99445
C 1.23191 -0.58622 -0.08636
C 0.22639 0.52489 -0.08748
C -1.24904 0.28692 -0.00138
C -1.57508 -0.86853 0.90926
C -0.84710 -0.28512 1.86366
N -0.52612 0.93631 1.11757
H 1.76490 0.74523 -2.75568
H 1.23744 -1.25783 0.79065
H 0.52042 1.36908 -0.70902
H -1.93987 0.86201 -0.61142
H 1.56801 1.26082 -3.25688
H -2.13434 -1.78734 0.79232
H -0.47149 -0.52487 2.85261
*
```

Output
HOMO energy ... -9.4 eV
E_LUMO ... 0.75 eV

natural (NBO) atomic charge list, values in e, 6 entries: atom 1 (O): -0.5070, atom 2 (C): 0.4171, atom 3 (C): -0.1704, atom 4 (C): -0.0875, atom 5 (C): -0.2635, atom 6 (C): -0.0420

=====

Record 2
# C2H4FPS

A cluster of 2 separate species, C2H4FPS in total at a distorted geometry (ωB97M-V/def2-TZVPD, the OMol25 dataset).

Structure (ORCA input):
```
! wB97M-V def2-TZVPD RIJCOSX def2/J DEFGRID3
* xyz 0 1
C 3.28159 -0.42892 0.37101
C -0.70676 -0.00689 -0.95293
F 4.21587 -1.18750 -0.20897
P -0.11110 -1.58066 -0.11772
S 3.18665 1.15638 0.10774
H 0.14688 0.78100 -1.13501
H -1.34558 0.53723 -0.38271
H -1.13305 -0.34610 -1.96481
H 0.83284 -1.13413 0.76391
*
```

Output
HOMO energy (spin up / spin down) ... -9.5 / -8.4 eV
E_LUMO (spin up / spin down) ... -1.02 / -1.95 eV

natural (NBO) atomic charge list, values in e, 6 entries: atom 1 (C): 0.2333, atom 2 (C): -0.9547, atom 3 (F): -0.3164, atom 4 (P): 0.3512, atom 5 (S): 0.0708, atom 6 (H): 0.2335

=====

Record 3
# C24H24AsF6IrN6OS

A structure of composition C24H24AsF6IrN6OS (ωB97M-V/def2-TZVPD, the OMol25 dataset).

Structure (ORCA input):
```
! wB97M-V def2-TZVPD RIJCOSX def2/J DEFGRID3
* xyz -1 2
Ir -0.35156 -0.11496 0.35160
C -1.08702 -6.21842 -2.85952
C -1.33938 -4.97278 -2.05351
C -2.48968 -4.20760 -2.23946
C -2.67528 -3.01996 -1.56249
C -1.74530 -2.54525 -0.62850
N -1.91527 -1.30434 -0.02389
C -3.14058 -0.98094 0.53163
C -3.98705 -1.95198 1.08479
C -5.17281 -1.61950 1.70896
C -5.57139 -0.29300 1.84727
C -6.81490 0.08144 2.60754
C -4.74619 0.67862 1.30398
C -3.57738 0.35124 0.62912
N -2.86683 1.41424 -0.00607
C -3.39709 2.53996 -0.53700
C -2.36226 3.33997 -0.95233
C -1.19679 2.62448 -0.64674
N -1.52266 1.47140 -0.07641
C -0.62009 -3.35033 -0.40464
C -0.40940 -4.51556 -1.13560
N 0.33691 -3.01892 0.59412
C 1.08529 -3.89512 1.30216
C 2.03325 -3.18404 1.98848
C 1.79315 -1.84509 1.65486
N 0.77444 -1.75708 0.81359
H -2.02419 -6.67079 -3.18444
H -0.53592 -6.96126 -2.28164
H -0.50058 -5.99686 -3.75422
H -3.23746 -4.53359 -2.95369
H -3.55615 -2.41779 -1.74739
H -3.68206 -2.98915 1.03051
H -5.78649 -2.40815 2.13002
H -7.54381 -0.72928 2.58954
H -7.28724 0.96932 2.18541
H -6.58595 0.29665 3.65384
H -5.00868 1.72433 1.41147
H -4.46340 2.66877 -0.58866
H -2.42834 4.30178 -1.42755
H -0.16048 2.87064 -0.82292
H 0.50856 -5.06980 -0.97895
H 0.87296 -4.94880 1.26610
H 2.77622 -3.56532 2.66510
H 2.28278 -0.94289 1.98231
F 1.36052 1.46222 0.05752
As 3.10916 3.32902 -0.89780
F 2.08149 4.00252 0.36918
F 1.69600 3.13113 -1.95883
F 3.31782 4.93599 -1.52462
F 4.14192 2.72951 -2.19713
F 4.54657 3.55160 0.09914
S 0.16724 1.08409 5.10110
C 0.09003 0.77819 3.49953
N 0.06102 0.56296 2.35260
C 3.12110 1.96093 2.14260
O 3.38126 1.12429 1.00646
C 2.79116 1.45527 -0.17641
C 3.07403 0.36934 -1.17860
H 3.68922 2.88566 2.06472
H 3.44632 1.38323 3.00584
H 2.05976 2.17431 2.23615
H 4.12574 0.09901 -1.10664
H 2.85744 0.70031 -2.18994
H 2.45731 -0.49756 -0.93500
*
```

Output
HOMO energy (spin up / spin down) ... -4.7 / -4.8 eV
E_LUMO (spin up / spin down) ... 2.20 / 2.19 eV

natural (NBO) atomic charge list, values in e, 6 entries: atom 1 (Ir): 0.9394, atom 2 (C): -0.6203, atom 3 (C): -0.0528, atom 4 (C): -0.2022, atom 5 (C): -0.2190, atom 6 (C): 0.1476

=====

Record 4
# C27H16F9N4OS3TbTe

A structure of composition C27H16F9N4OS3TbTe at a distorted geometry (ωB97M-V/def2-TZVPD, the OMol25 dataset).
>>>

• Exercise:
Print the lines further up from the one with "... -9.4" to the one with "-0.62009 -3.35033" without altering anything.

• Outcome:
HOMO energy ... -9.4 eV
E_LUMO ... 0.75 eV

natural (NBO) atomic charge list, values in e, 6 entries: atom 1 (O): -0.5070, atom 2 (C): 0.4171, atom 3 (C): -0.1704, atom 4 (C): -0.0875, atom 5 (C): -0.2635, atom 6 (C): -0.0420

=====

Record 2
# C2H4FPS

A cluster of 2 separate species, C2H4FPS in total at a distorted geometry (ωB97M-V/def2-TZVPD, the OMol25 dataset).

Structure (ORCA input):
```
! wB97M-V def2-TZVPD RIJCOSX def2/J DEFGRID3
* xyz 0 1
C 3.28159 -0.42892 0.37101
C -0.70676 -0.00689 -0.95293
F 4.21587 -1.18750 -0.20897
P -0.11110 -1.58066 -0.11772
S 3.18665 1.15638 0.10774
H 0.14688 0.78100 -1.13501
H -1.34558 0.53723 -0.38271
H -1.13305 -0.34610 -1.96481
H 0.83284 -1.13413 0.76391
*
```

Output
HOMO energy (spin up / spin down) ... -9.5 / -8.4 eV
E_LUMO (spin up / spin down) ... -1.02 / -1.95 eV

natural (NBO) atomic charge list, values in e, 6 entries: atom 1 (C): 0.2333, atom 2 (C): -0.9547, atom 3 (F): -0.3164, atom 4 (P): 0.3512, atom 5 (S): 0.0708, atom 6 (H): 0.2335

=====

Record 3
# C24H24AsF6IrN6OS

A structure of composition C24H24AsF6IrN6OS (ωB97M-V/def2-TZVPD, the OMol25 dataset).

Structure (ORCA input):
```
! wB97M-V def2-TZVPD RIJCOSX def2/J DEFGRID3
* xyz -1 2
Ir -0.35156 -0.11496 0.35160
C -1.08702 -6.21842 -2.85952
C -1.33938 -4.97278 -2.05351
C -2.48968 -4.20760 -2.23946
C -2.67528 -3.01996 -1.56249
C -1.74530 -2.54525 -0.62850
N -1.91527 -1.30434 -0.02389
C -3.14058 -0.98094 0.53163
C -3.98705 -1.95198 1.08479
C -5.17281 -1.61950 1.70896
C -5.57139 -0.29300 1.84727
C -6.81490 0.08144 2.60754
C -4.74619 0.67862 1.30398
C -3.57738 0.35124 0.62912
N -2.86683 1.41424 -0.00607
C -3.39709 2.53996 -0.53700
C -2.36226 3.33997 -0.95233
C -1.19679 2.62448 -0.64674
N -1.52266 1.47140 -0.07641
C -0.62009 -3.35033 -0.40464